Entry 1:
DFT (GGA-PBE) results for a relaxed CuAs2Pd crystal.

* space group: Fm-3m
* relative energy among the computed polymorphs: 0 meV per atom

Unit cell a=4.501 b=4.501 c=4.501 alpha=60.00 beta=60.00 gamma=60.00
Element x y z (fractional)
Cu 0.000 0.000 0.000
Pd 0.500 0.500 0.500
As 0.750 0.750 0.750
As 0.250 0.250 0.250

=====

Entry 2:
DFT (GGA-PBE) results for a relaxed CuAsPd4 crystal.

* space group: P2_1/c
* relative energy among the computed polymorphs: 28 meV per atom

Unit cell a=4.935 b=7.718 c=5.154 alpha=90.00 beta=112.25 gamma=90.00
Element x y z (fractional)
Pd 0.420 0.161 0.884
Cu 0.000 0.000 0.000
Pd 0.889 0.166 0.395
Pd 0.580 0.839 0.116
Pd 0.111 0.834 0.605
Pd 0.920 0.339 0.884
As 0.500 0.000 0.500
As 0.000 0.500 0.500
Pd 0.611 0.666 0.605
Cu 0.500 0.500 0.000
Pd 0.080 0.661 0.116
Pd 0.389 0.334 0.395

=====

Entry 3:
DFT (GGA-PBE) results for a relaxed CuAs6Pd crystal.

* space group: C2/m

Unit cell a=7.561 b=7.561 c=7.538 alpha=109.59 beta=109.39 gamma=109.56
Element x y z (fractional)
As 0.211 0.854 0.354
As 0.853 0.354 0.207
As 0.500 0.857 0.646
As 0.358 0.212 0.858
As 0.353 0.500 0.142
Pd 0.500 0.500 0.500
As 0.858 0.643 0.501
As 0.147 0.646 0.793
As 0.642 0.788 0.142
Cu 0.500 0.000 0.000
Pd 0.000 0.000 0.500
Cu 0.000 0.500 0.000
As 0.500 0.143 0.354
As 0.647 0.500 0.858
As 0.789 0.146 0.646
As 0.142 0.357 0.499

=====

Entry 4:
DFT (GGA-PBE) results for a relaxed Cu2AsPd crystal.

* space group: I-42d

Unit cell a=6.960 b=6.960 c=5.526 alpha=50.97 beta=50.97 gamma=90.00
Element x y z (fractional)
Cu 0.875 0.854 0.750
Cu 0.146 0.625 0.250
Pd 0.000 0.000 0.000
Pd 0.750 0.250 0.500
Cu 0.375 0.396 0.750
As 0.500 0.500 0.000
Cu 0.604 0.125 0.250
As 0.250 0.750 0.500

=====

Entry 5:
DFT (GGA-PBE) results for a relaxed Cu5As2Pd12 crystal.

* space group: C2/m

Unit cell a=8.388 b=7.399 c=5.621 alpha=92.88 beta=90.00 gamma=124.53
Element x y z (fractional)
Pd 0.545 0.090 0.258
As 0.754 0.000 0.000
Pd 0.632 0.797 0.378
Pd 0.559 0.621 0.801
Cu 0.317 0.635 0.105
Cu 0.235 0.470 0.516
Pd 0.368 0.203 0.622
Pd 0.115 0.230 0.912
Cu 0.765 0.530 0.484
Pd 0.885 0.770 0.088
Pd 0.455 0.910 0.742
Pd 0.062 0.621 0.801
As 0.246 0.000 0.000
Pd 0.166 0.797 0.378
Cu 0.683 0.365 0.895
Cu 0.000 0.000 0.500
Pd 0.834 0.203 0.622
Pd 0.441 0.379 0.199
Pd 0.938 0.379 0.199

=====

Entry 6:
DFT (GGA-PBE) results for a relaxed Cu8AsPd6 crystal.

* space group: R-3

Unit cell a=6.918 b=6.918 c=6.672 alpha=58.77 beta=58.77 gamma=60.00
Element x y z (fractional)
Pd 0.645 0.883 0.128
As 0.000 0.000 0.000
Pd 0.344 0.645 0.128
Cu 0.461 0.813 0.598
Cu 0.751 0.751 0.748
Cu 0.187 0.873 0.402
Cu 0.539 0.187 0.402
Cu 0.813 0.127 0.598
Pd 0.656 0.355 0.872
Pd 0.355 0.117 0.872
Cu 0.873 0.539 0.402
Cu 0.249 0.249 0.252
Cu 0.127 0.461 0.598
Pd 0.883 0.344 0.128
Pd 0.117 0.656 0.872

=====

Entry 7:
DFT (GGA-PBE) results for a relaxed Cu2AsPd4 crystal.

* space group: P1
* relative energy among the computed polymorphs: 0 meV per atom

Unit cell a=6.910 b=5.475 c=7.770 alpha=117.76 beta=120.26 gamma=93.48
Element x y z (fractional)
Pd 0.495 0.796 0.893
As 0.907 0.998 0.004
Cu 0.694 0.306 0.304
Pd 0.316 0.895 0.169
As 0.192 0.780 0.499
Cu 0.601 0.446 0.599
Pd 0.877 0.585 0.060
Pd 0.015 0.818 0.714
Pd 0.281 0.419 0.202
Pd 0.125 0.235 0.447
Cu 0.995 0.350 0.741
Pd 0.415 0.300 0.900
Pd 0.611 0.992 0.639
Cu 0.725 0.830 0.329

=====

Entry 8:
DFT (GGA-PBE) results for a relaxed Cu3AsPd4 crystal.

* space group: C2/m

Unit cell a=4.439 b=4.439 c=6.554 alpha=109.85 beta=109.79 gamma=90.00
Element x y z (fractional)
Cu 0.246 0.747 0.491
As 0.500 0.000 0.000
Pd 0.876 0.876 0.752
Cu 0.000 0.500 0.000
Pd 0.124 0.124 0.248
Cu 0.754 0.253 0.509
Pd 0.624 0.623 0.248
Pd 0.376 0.377 0.752

=====

Entry 9:
DFT (GGA-PBE) results for a relaxed PmCuAsPd crystal.

* space group: F-43m

Unit cell a=4.735 b=4.735 c=4.735 alpha=60.00 beta=60.00 gamma=60.00
Element x y z (fractional)
Pm 0.000 0.000 0.000
As 0.250 0.250 0.250
Pd 0.500 0.500 0.500
Cu 0.750 0.750 0.750

Echo the lines above from the one with "0.793" to the one with "0.813 0.127" word for word.

As 0.147 0.646 0.793
As 0.642 0.788 0.142
Cu 0.500 0.000 0.000
Pd 0.000 0.000 0.500
Cu 0.000 0.500 0.000
As 0.500 0.143 0.354
As 0.647 0.500 0.858
As 0.789 0.146 0.646
As 0.142 0.357 0.499

=====

Entry 4:
DFT (GGA-PBE) results for a relaxed Cu2AsPd crystal.

* space group: I-42d

Unit cell a=6.960 b=6.960 c=5.526 alpha=50.97 beta=50.97 gamma=90.00
Element x y z (fractional)
Cu 0.875 0.854 0.750
Cu 0.146 0.625 0.250
Pd 0.000 0.000 0.000
Pd 0.750 0.250 0.500
Cu 0.375 0.396 0.750
As 0.500 0.500 0.000
Cu 0.604 0.125 0.250
As 0.250 0.750 0.500

=====

Entry 5:
DFT (GGA-PBE) results for a relaxed Cu5As2Pd12 crystal.

* space group: C2/m

Unit cell a=8.388 b=7.399 c=5.621 alpha=92.88 beta=90.00 gamma=124.53
Element x y z (fractional)
Pd 0.545 0.090 0.258
As 0.754 0.000 0.000
Pd 0.632 0.797 0.378
Pd 0.559 0.621 0.801
Cu 0.317 0.635 0.105
Cu 0.235 0.470 0.516
Pd 0.368 0.203 0.622
Pd 0.115 0.230 0.912
Cu 0.765 0.530 0.484
Pd 0.885 0.770 0.088
Pd 0.455 0.910 0.742
Pd 0.062 0.621 0.801
As 0.246 0.000 0.000
Pd 0.166 0.797 0.378
Cu 0.683 0.365 0.895
Cu 0.000 0.000 0.500
Pd 0.834 0.203 0.622
Pd 0.441 0.379 0.199
Pd 0.938 0.379 0.199

=====

Entry 6:
DFT (GGA-PBE) results for a relaxed Cu8AsPd6 crystal.

* space group: R-3

Unit cell a=6.918 b=6.918 c=6.672 alpha=58.77 beta=58.77 gamma=60.00
Element x y z (fractional)
Pd 0.645 0.883 0.128
As 0.000 0.000 0.000
Pd 0.344 0.645 0.128
Cu 0.461 0.813 0.598
Cu 0.751 0.751 0.748
Cu 0.187 0.873 0.402
Cu 0.539 0.187 0.402
Cu 0.813 0.127 0.598